What is needed: type out the whole of the entries further below unchanged.

********
The following is a simulated PXRD pattern of Ho5Co2Hg2. It was derived from the GGA-PBE geometry in Alexandria, using Cu Kα.
No peak broadening, texture or thermal motion is included.

Cell and atoms:
```
data_Ho5Co2Hg2
_chemical_formula_sum 'Ho10 Co4 Hg4'
_cell_length_a 8.8085
_cell_length_b 8.8085
_cell_length_c 7.3345
_cell_angle_alpha 90.00
_cell_angle_beta 90.00
_cell_angle_gamma 48.54
_symmetry_space_group_name_H-M 'P 1'
_symmetry_Int_Tables_number 1
_symmetry_space_group_name_Hall 'P 1'
loop_
_atom_site_label
_atom_site_fract_x
_atom_site_fract_y
_atom_site_fract_z
Ho1 0.0000 0.0000 0.0000
Ho2 0.0607 0.6975 0.6805
Ho3 0.1975 0.5607 0.1805
Ho4 0.3025 0.9393 0.6805
Ho5 0.4393 0.8025 0.1805
Ho6 0.5000 0.5000 0.5000
Ho7 0.5607 0.1975 0.8195
Ho8 0.6975 0.0607 0.3195
Ho9 0.8025 0.4393 0.8195
Ho10 0.9393 0.3025 0.3195
Co1 0.1090 0.8910 0.3878
Co2 0.3910 0.6090 0.8878
Co3 0.6090 0.3910 0.1122
Co4 0.8910 0.1090 0.6122
Hg1 0.2206 0.2206 0.0000
Hg2 0.2794 0.2794 0.5000
Hg3 0.7206 0.7206 0.5000
Hg4 0.7794 0.7794 0.0000
```

Top 10 peaks for 10 to 80 degrees two-theta, in order of rising 2θ:
two_theta	d (Å)	Rel. int.
27.47	3.247	27
32.06	2.792	38
32.86	2.726	63
33.08	2.708	99
33.32	2.689	100
34.82	2.577	77
35.56	2.525	56
39.30	2.292	65
39.71	2.270	34
61.19	1.515	45
********

The following is a simulated PXRD pattern of Ho5Co2Hg2. It was derived from the GGA-PBE geometry in Alexandria, using Cu Kα.
No peak broadening, texture or thermal motion is included.

Cell and atoms:
```
data_Ho5Co2Hg2
_chemical_formula_sum 'Ho10 Co4 Hg4'
_cell_length_a 8.8085
_cell_length_b 8.8085
_cell_length_c 7.3345
_cell_angle_alpha 90.00
_cell_angle_beta 90.00
_cell_angle_gamma 48.54
_symmetry_space_group_name_H-M 'P 1'
_symmetry_Int_Tables_number 1
_symmetry_space_group_name_Hall 'P 1'
loop_
_atom_site_label
_atom_site_fract_x
_atom_site_fract_y
_atom_site_fract_z
Ho1 0.0000 0.0000 0.0000
Ho2 0.0607 0.6975 0.6805
Ho3 0.1975 0.5607 0.1805
Ho4 0.3025 0.9393 0.6805
Ho5 0.4393 0.8025 0.1805
Ho6 0.5000 0.5000 0.5000
Ho7 0.5607 0.1975 0.8195
Ho8 0.6975 0.0607 0.3195
Ho9 0.8025 0.4393 0.8195
Ho10 0.9393 0.3025 0.3195
Co1 0.1090 0.8910 0.3878
Co2 0.3910 0.6090 0.8878
Co3 0.6090 0.3910 0.1122
Co4 0.8910 0.1090 0.6122
Hg1 0.2206 0.2206 0.0000
Hg2 0.2794 0.2794 0.5000
Hg3 0.7206 0.7206 0.5000
Hg4 0.7794 0.7794 0.0000
```

Top 10 peaks for 10 to 80 degrees two-theta, in order of rising 2θ:
two_theta	d (Å)	Rel. int.
27.47	3.247	27
32.06	2.792	38
32.86	2.726	63
33.08	2.708	99
33.32	2.689	100
34.82	2.577	77
35.56	2.525	56
39.30	2.292	65
39.71	2.270	34
61.19	1.515	45